### Entries
********
[1]
For CdNi5P2, DFT lattice parameters and positions (GGA-PBE) gives the calculated PXRD pattern in this record (Cu Kα).
Kinematic intensities with the Lorentz-polarization factor, no thermal factor.

Cell and atoms:
```
data_CdNi5P2
_cell_length_a 3.408
_cell_length_b 6.206
_cell_length_c 9.713
_cell_angle_alpha 90.00
_cell_angle_beta 90.00
_cell_angle_gamma 90.00
_symmetry_space_group_name_H-M 'I m m m'
_symmetry_Int_Tables_number 71
_symmetry_space_group_name_Hall '-I 2 2'
loop_
_atom_site_label
_atom_site_type_symbol
_atom_site_fract_x
_atom_site_fract_y
_atom_site_fract_z
_atom_site_occupancy
Cd1 Cd 0.000 0.000 0.000 1
Ni1 Ni 0.000 0.211 0.352 1
Ni2 Ni 0.000 0.500 0.000 1
P1 P 0.000 0.500 0.225 1
```

Top 10 peaks for 2θ = 10–90°, sorted by position:
| 2theta | I (rel.) | index |
| --- | --- | --- |
| 31.16 | 18 | 0 1 3 |
| 34.29 | 26 | 0 2 2 |
| 38.35 | 86 | 1 0 3 |
| 40.39 | 100 | 1 2 1 |
| 47.55 | 51 | 0 2 4 |
| 53.80 | 24 | 2 0 0 |
| 65.33 | 12 | 2 2 2 |
| 73.11 | 12 | 1 4 3 |
| 74.60 | 24 | 2 2 4 |
| 80.98 | 13 | 1 2 7 |

[2]
For PaCd2Ni9, DFT lattice parameters and positions (GGA-PBE) gives the calculated PXRD pattern in this record (Cu Kα).
Kinematic intensities with the Lorentz-polarization factor, no thermal factor.

Cell and atoms:
```
data_PaCd2Ni9
_cell_length_a 4.8655
_cell_length_b 4.8655
_cell_length_c 23.8710
_cell_angle_alpha 90.00
_cell_angle_beta 90.00
_cell_angle_gamma 120.00
_symmetry_space_group_name_H-M 'R -3 m'
_symmetry_Int_Tables_number 166
_symmetry_space_group_name_Hall '-R 3 2"'
loop_
_atom_site_label
_atom_site_type_symbol
_atom_site_fract_x
_atom_site_fract_y
_atom_site_fract_z
_atom_site_occupancy
Pa1 Pa 0.0000 0.0000 0.0000 1
Cd1 Cd 0.0000 0.0000 0.1440 1
Ni1 Ni 0.0000 0.0000 0.3340 1
Ni2 Ni 0.0000 0.0000 0.5000 1
Ni3 Ni 0.0018 0.5009 0.9168 1
```

Top 10 peaks for 2θ = 10–90°, sorted by position:
| 2theta | I (rel.) | index |
| --- | --- | --- |
| 22.36 | 10 | 0 0 6 |
| 33.81 | 37 | 1 0 7 |
| 36.94 | 65 | 1 1 0 |
| 43.10 | 31 | 0 2 1 |
| 43.61 | 100 | 1 1 6 |
| 45.61 | 18 | 0 0 12 |
| 64.59 | 11 | 2 1 7 |
| 66.56 | 17 | 3 0 0 |
| 71.19 | 19 | 3 0 6 |
| 78.66 | 16 | 2 2 0 |
********

### Brief
Could you copy the notes above from the first line to the one with "53.80" without altering anything?

### Result
[1]
For CdNi5P2, DFT lattice parameters and positions (GGA-PBE) gives the calculated PXRD pattern in this record (Cu Kα).
Kinematic intensities with the Lorentz-polarization factor, no thermal factor.

Cell and atoms:
```
data_CdNi5P2
_cell_length_a 3.408
_cell_length_b 6.206
_cell_length_c 9.713
_cell_angle_alpha 90.00
_cell_angle_beta 90.00
_cell_angle_gamma 90.00
_symmetry_space_group_name_H-M 'I m m m'
_symmetry_Int_Tables_number 71
_symmetry_space_group_name_Hall '-I 2 2'
loop_
_atom_site_label
_atom_site_type_symbol
_atom_site_fract_x
_atom_site_fract_y
_atom_site_fract_z
_atom_site_occupancy
Cd1 Cd 0.000 0.000 0.000 1
Ni1 Ni 0.000 0.211 0.352 1
Ni2 Ni 0.000 0.500 0.000 1
P1 P 0.000 0.500 0.225 1
```

Top 10 peaks for 2θ = 10–90°, sorted by position:
| 2theta | I (rel.) | index |
| --- | --- | --- |
| 31.16 | 18 | 0 1 3 |
| 34.29 | 26 | 0 2 2 |
| 38.35 | 86 | 1 0 3 |
| 40.39 | 100 | 1 2 1 |
| 47.55 | 51 | 0 2 4 |
| 53.80 | 24 | 2 0 0 |